Hydrologists classify watersheds using a hierarchical system that “nests” watersheds within one another, an idea that resembles a broad oak tree with the trunk being a large river such as the Mississippi and the countless branches its numerous tributaries. Each watershed or branch is given a number—a Hydrologic Unit Code (HUC) with the larger branches having the smaller numbers.
The continental U.S. is divided into 18 hydrologic regions, 6 of which drain through the outlets of the Mississippi River and its distributary, the Atchafalaya River, into the Gulf of Mexico. One of these six is the Upper Mississippi River, which is designated HUC 07, and thus all tributary subwatersheds draining to Upper Mississippi have a HUC number beginning with “07”.
• Materials data, as found in the file:
+++
No. 1
DFT (PBE-GGA) results for a geometry-optimized PmCu2F11 structure.

POSCAR file:
```
PmCu2F11
1.0
7.868 0.000 4.101
3.575 6.713 2.739
0.811 0.139 8.042
Pm Cu F
2 4 22
Cartesian
9.191 5.139 11.162
3.064 1.713 3.721
8.266 4.750 7.198
3.988 2.102 7.684
7.653 1.463 10.250
4.601 5.389 4.632
8.260 4.895 9.023
3.994 1.957 5.859
3.107 3.703 7.561
10.622 6.576 12.338
9.147 3.150 7.321
1.632 0.276 2.544
6.905 5.383 11.623
5.349 1.469 3.259
6.127 3.426 7.441
8.679 0.139 12.143
9.911 5.766 7.013
2.343 1.086 7.869
6.862 2.479 8.796
5.392 4.373 6.086
7.214 6.245 7.093
5.040 0.607 7.789
4.153 2.352 9.490
1.360 1.213 5.250
8.101 4.500 5.392
10.894 5.639 9.632
3.912 3.894 3.830
8.342 2.958 11.052
```

Results
Symmetry: Ibam (72)


No. 2
DFT (PBE-GGA) results for a geometry-optimized PmCu4F12 structure.

POSCAR file:
```
PmCu4F12
1.0
6.321 -0.023 -2.255
-3.165 5.488 -2.246
0.022 0.016 6.711
Pm Cu F
1 4 12
Cartesian
-1.571 2.752 2.233
-0.004 5.476 -3.373
-1.583 2.744 -1.123
0.011 0.008 3.356
1.589 2.741 1.105
-0.531 3.837 4.270
-2.006 4.179 0.174
0.503 4.173 1.931
-1.765 5.272 2.505
3.314 3.091 2.031
0.707 1.659 2.509
2.471 3.822 -0.299
4.943 0.209 -0.295
-0.136 2.391 0.179
2.676 1.309 0.279
5.185 1.303 2.036
3.710 1.644 -2.060
```

Results
Symmetry: R-3 (148)


No. 3
DFT (PBE-GGA) results for a geometry-optimized PmCu2F8 structure.

POSCAR file:
```
PmCu2F8
1.0
-3.742 -3.609 -1.838
4.029 -3.573 -1.186
-0.537 1.556 6.308
Pm Cu F
1 2 8
Cartesian
0.144 -3.591 -1.512
-2.067 -2.822 1.479
1.818 -2.804 1.805
-1.821 -3.538 -0.202
1.525 -0.929 3.974
-2.111 -2.105 3.176
-0.988 0.182 4.239
1.908 -4.680 -0.381
-0.515 -5.814 -1.061
0.603 -2.404 0.478
0.402 -3.216 2.911
```

Results
Symmetry: I422 (97)


No. 4
DFT (PBE-GGA) results for a geometry-optimized Pm3Cu5F12 structure.

POSCAR file:
```
Pm3Cu5F12
1.0
11.559 0.000 0.000
-3.853 10.898 0.000
-3.853 -5.449 9.438
Pm Cu F
12 20 48
Cartesian
6.743 3.406 1.180
6.743 7.492 1.180
-0.963 4.768 5.899
0.963 -0.681 3.539
8.669 0.000 2.359
0.963 5.449 2.359
2.890 0.000 7.078
-4.816 5.449 7.078
2.890 6.130 5.899
4.816 0.681 3.539
-2.890 -2.043 8.258
-2.890 2.043 8.258
-0.963 2.724 2.359
-1.926 5.449 0.000
0.000 0.000 0.000
2.890 2.043 1.180
3.853 -2.724 4.719
3.853 5.449 0.000
-2.890 6.130 3.539
4.816 -3.406 8.258
4.816 4.768 3.539
0.963 -2.724 7.078
2.890 8.173 2.359
1.926 2.724 4.719
5.779 0.000 0.000
-1.926 -2.724 4.719
-0.963 0.681 5.899
-0.963 8.855 1.180
-3.853 2.724 4.719
6.743 -0.681 5.899
0.963 3.406 8.258
4.816 2.724 7.078
7.633 1.197 0.563
0.073 3.810 3.963
8.429 2.438 2.579
5.057 1.710 1.318
1.415 4.285 6.296
7.991 5.411 1.577
-0.723 6.177 3.897
-3.130 9.188 1.318
0.511 6.613 6.296
5.495 5.487 1.577
5.853 2.836 3.401
5.853 9.701 0.563
-3.342 4.871 5.282
2.211 4.102 0.822
-3.926 8.062 3.401
2.000 -1.638 5.474
-0.511 0.586 2.140
2.211 6.834 0.755
5.057 8.460 2.579
+++
• End of the materials data:
Scientists and conservationists commonly work at the HUC-12 (i.e. the HUC number has 12 digits) and HUC-8 (8 digits) scales when conducting watershed research. HUC 12 watersheds drain from 10,000 to 40,000 acres and in Iowa there are 1600 of them. Iowa HUC-8s (56 of them) cover about 1000 square miles on average.
The Raccoon River watershed shown above is divided into two HUC-8s designated as the North and South Raccoon River. The Raccoon is actually fed by flows from three main branches: the South, Middle, and North, with the North being the main branch. The South and Middle combine in western Dallas County and this combined flow joins the North Raccoon a couple of miles downstream near the town of Van Meter. The South Raccoon HUC-8 (07100007) includes the area draining to the combined flows of the South and Middle Raccoon Rivers; the North Raccoon HUC-8 includes the area draining to the North Raccoon main branch, but not including South/Middle Raccoon areas, to its confluence with the Des Moines River in downtown Des Moines. At the Raccoon outlet, about 70% of the water is sourced to the North Raccoon (07100006) while the other 30% is sourced to the South and Middle Raccoon (07100007).
Despite what some would have you believe (1), people do drink water from the Raccoon River—20% of Iowa’s population in fact, but probably closer to 100% when you include Iowans attending the state fair, sporting events, concerts, and the Des Moines farmers’ market. Because of its importance as a drinking water supply and because it may contain more nitrate than any similarly-sized stream in North America, there have been countless efforts spanning decades to engage landowners, agencies, utilities, NGOs, anglers, paddlers, local governments and the horses they all rode in on, in an effort to try to affect change. Frustration with the lack of change came to a head in 2015 when the Des Moines Water Works filed a complaint in US District Court against 13 drainage districts in 3 counties of the North Raccoon Watershed, a suit that was ultimately dismissed. At least a few reputations and careers have been muddied by the waters of the Raccoon River.
One effort at Raccoon River Watershed improvement was the formation of Watershed Management Authorities (WMAs). Iowa lawmakers passed legislation authorizing the creation of WMAs in 2010 (2). WMAs provide a framework for stakeholders, Soil and Water Conservation Districts and local and county governments “to cooperatively engage in watershed planning and management.” There are now 26 WMAs in Iowa and one in both of the Raccoon HUC-8s. There also is a WMA for the Walnut Creek Watershed which enters the Raccoon River in Des Moines Water Works Park. According to Iowa DNR (2), “The WMA is formed by a Chapter 28E Agreement by two or more eligible political subdivisions within a specific eight-digit hydrologic unit code watershed.”
So here is where the fun part begins.
The North Raccoon WMA has been in the news of late for a couple of reasons. It was awarded $2.5 million through a grant from the Housing and Urban Development (HUD) to implement “flood first” practices as part of the Iowa Watershed Approach (IWA) project (3). The North Raccoon HUC 8 was one of nine Iowa watersheds where flood disaster declarations and other considerations created eligibility for the funds.
Water quality improvements were also expected to result from the implementation of wetlands, restored oxbows, and other structural practices in the IWA watersheds, but the pollution reduction component was by design not the primary consideration so as not to offend the sensibilities of landowners.
As of this writing, the North Raccoon WMA expects to spend about $545,000 on a nutrient reduction wetland, two stream restorations and a grade stabilization structure on Outlet Creek which drains Storm Lake (city and lake) (4). The balance will go unspent, untapped by the farmers in what is likely the cornbelt’s most high-profile watershed. Watershed coordinator Marius Agua said “Only four of the dozens of landowners authority staff approached signed onto new conservation practices. In many cases, the landowners weren’t agreeable to what we proposed. Most wanted their land still in production” (4).
In a second development (5), perhaps in response to the nonspending problem, some of the northern counties have apparently decided that the (urban) Dallas and Polk county portions of the WMA are no longer welcome at the table, and that the WMA’s watershed plan is unworkable. “There are serious fundamental differences between the developed Raccoon River area needs and the rural North Raccoon River area needs,” according to Palo Alto County representative and tile drainage engineer Don Etler. “I seriously believe that forming two WMAs would be a major step in the right direction” (5). To that end, the Pocahontas Board of Supervisors passed a resolution that states:
- Polk and Dallas Counties are not in the North Raccoon Watershed, and maps that show this (like the one shown above) have been produced erroneously by Iowa DNR;
- They (the supervisors) will not support any watershed management plan that the North Raccoon River Watershed Management Coalition may produce, which includes the Raccoon River, and any direct tributary land downstream from the mouth of the North Raccoon River.
Pocahontas County supervisor Clarence Siepker perhaps was the honest (if not noble) voice in this mess: “This just doesn’t make sense to me. We want to make a watershed plan so we can get more grants, but we can’t find a way to spend grant money on projects this cycle. What’s the point?” And four other northern counties agreed. Using an argument riper than a roadkill raccoon on a July day, they asserted the plan should have focused more on water quality instead of flooding.
I’ve only written one piece for this space since March 4, compared to 2-3 per month over the previous year. One reason for this has been the pandemic; there has been so much news that I figured I might have a hard time competing for your reading time. Then, I had this one mostly written about 10 days ago, and all hell breaks loose. But another reason I haven’t written much lately relates to a harsh review of my essays by someone that gets paid to know the difference between good and bad writing.
One comment I received was that “we’re not all as angry as he is” and that, to paraphrase, I should plot more of a middle-of-road strategy that lets the facts speak for themselves. Well, you know what, the facts have been speaking pretty dispassionately for a half a century and here we are, still arguing whether or not certain counties lie within well-established watershed boundaries, because those counties might actually want some accountability when it comes to their drinking water. If this doesn’t make a person angry or frustrated, then I may not be their read du jour.
The multi-generational slog to improve Iowa water quality and especially that of the Raccoon River has often been portrayed as a struggle between city slickers and the hardscrabble rural Iowa underdog. Former Governor Branstad even said the Des Moines Water Works declared war on rural Iowa. My take on it is a little bit different.
At its core, the issue of Raccoon River water quality is this: a few holding as hostage the water belonging the masses. The real underdogs have always had to wallow in the downstream mud. How else do you explain a half century of bad water? I’ll just say it: this is about a recalcitrant minority’s license to impair the water, and ensuring that license lasts for as long as possible. How does a watershed's landowners leave $2 million in public funds lying on the table while more than 500,000 people are left to cope with the impairment? And, how are we to embrace and invest in voluntary strategies when there are no volunteers?
In a 2018 letter to the Des Moines Register (1), then-Des Moines Water Works General Manager Bill Stowe illustrated the contrast between the Iowa Great Lakes and the Raccoon River. Governor Reynolds had just signed a bill restricting pesticide applications near West Okoboji and other Iowa glacial lakes, upon whose shores lie some of Iowa’s most expensive real estate. Stowe quoted Iowa legislators that were fearful that West Okoboji would become “another Flint, Michigan”, and he lamented that the Raccoon River and Des Moines water customers didn’t merit this sort of consideration. It’s as clear as Lake Okoboji where our body politic deems water quality regulation appropriate, and where it doesn’t.
But I’m not hopeless and I’m certainly not always angry. I detect a different kind of vibe in this rotten raccoon story. Desperation. When you’re redrawing maps to prevent the tide from eroding your petrified position, the gig is about up.
- https://www.desmoinesregister.com/story/opinion/columnists/iowa-view/2018/04/24/des-moines-water-works-bill-stowe-nitrate-removal/545690002/.
- https://www.iowadnr.gov/Environmental-Protection/Water-Quality/Watershed-Management-Authorities.
- https://iowawatershedapproach.org.
- https://www.stormlake.com/articles/2020/05/08/raccoon-watershed-authority-can-barely-give-it-away.
- https://www.stormlake.com/articles/2020/05/15/raccoon-watershed-board-ponders-its-future-few-landowners-are-interested